HSRU offers student work placements to current University of Aberdeen students wishing to improve their knowledge and experience in a research-focused environment.
This year we welcome 8 student interns, 4 working on projects with the CHaRT programming team and 4 working on Health Services Research projects.
Valerio Bucci, Julia Zięba, Hilaron Osemudiame Dawodu and Marcin Woznicki have commenced their internships with the CHaRT Programming team and have provided an insight into their projects.
Valerio Bucci
# Crystal structures, as found in the file
┌──
For La3InRu, a cell relaxed with GGA-PBE gives the computed PXRD pattern in this record (a wavelength of 1.5418 Å).

The 10 most intense peaks (2θ = 10–80°), low angle first:
(0 2 2), 27.60 deg, intensity 37
(2 0 1), 28.08 deg, intensity 24
(0 3 1), 29.24 deg, intensity 37
(1 2 2), 30.60 deg, intensity 24
(2 2 0), 31.91 deg, intensity 100
(2 0 2), 33.49 deg, intensity 17
(1 0 3), 33.93 deg, intensity 32
(0 4 0), 36.67 deg, intensity 28
(1 2 3), 38.71 deg, intensity 37
(3 0 2), 45.05 deg, intensity 15

Crystal structure
```
data_La3InRu
_cell_length_a 6.840
_cell_length_b 9.804
_cell_length_c 8.595
_cell_angle_alpha 90.00
_cell_angle_beta 90.00
_cell_angle_gamma 90.00
_symmetry_space_group_name_H-M 'P n m a'
_symmetry_Int_Tables_number 62
loop_
_symmetry_equiv_pos_as_xyz
'x,y,z'
'-x,-y,-z'
'-x+1/2,-y,z+1/2'
'x+1/2,y,-z+1/2'
'x+1/2,-y+1/2,-z+1/2'
'-x+1/2,y+1/2,z+1/2'
'-x,y+1/2,-z'
'x,-y+1/2,z'
loop_
_atom_site_label
_atom_site_type_symbol
_atom_site_fract_x
_atom_site_fract_y
_atom_site_fract_z
La1 La 0.061 0.047 0.198
La2 La 0.213 0.750 0.412
In1 In 0.247 0.750 0.003
Ru1 Ru 0.000 0.000 0.500
```

~~~~~

1.
La5Pr2Dy6: theoretical XRD peak list (Cu Kα), based on DFT lattice parameters and positions (PBE).
Intensities are scaled so that the largest is 100.

Most intense lines, 15° ≤ 2θ ≤ 90°, in order of falling intensity:
- d = 2.836 Å, I = 100, hkl 2 3 1
- d = 2.925 Å, I = 89, hkl 4 1 0
- d = 2.914 Å, I = 83, hkl 1 7 0
- d = 2.672 Å, I = 75, hkl 2 4 1
- d = 1.546 Å, I = 51, hkl 4 1 2
- d = 2.904 Å, I = 49, hkl 1 4 1
- d = 2.619 Å, I = 42, hkl 3 6 0
- d = 2.499 Å, I = 41, hkl 3 3 1
- d = 3.119 Å, I = 34, hkl 1 3 1
- d = 1.822 Å, I = 34, hkl 0 0 2

Structure:
Lattice parameters (Å, degrees): 11.8137 21.0463 3.6437 90.00 90.00 90.00
Atoms (fractional coordinates):
La 0.0000 0.0000 0.0000
La 0.0632 0.2883 0.0000
La 0.1979 0.5653 0.0000
La 0.3021 0.0653 0.0000
La 0.4368 0.7883 0.0000
La 0.5000 0.5000 0.0000
La 0.5632 0.2117 0.0000
La 0.6979 0.9347 0.0000
La 0.8021 0.4347 0.0000
La 0.9368 0.7117 0.0000
Pr 0.1944 0.7287 0.5000
Pr 0.3056 0.2287 0.5000
Pr 0.6944 0.7713 0.5000
Pr 0.8056 0.2713 0.5000
Dy 0.0618 0.1415 0.5000
Dy 0.0720 0.4321 0.5000
Dy 0.1900 0.8758 0.0000
Dy 0.3100 0.3758 0.0000
Dy 0.4280 0.9321 0.5000
Dy 0.4382 0.6415 0.5000
Dy 0.5618 0.3585 0.5000
Dy 0.5720 0.0679 0.5000
Dy 0.6900 0.6242 0.0000
Dy 0.8100 0.1242 0.0000
Dy 0.9280 0.5679 0.5000
Dy 0.9382 0.8585 0.5000

---

2.
Li3Sb5P6O24: theoretical XRD peak list (Cu Kα), based on DFT lattice parameters and positions (PBE).
Intensities are scaled so that the largest is 100.

Most intense lines, 15° ≤ 2θ ≤ 90°, in order of falling intensity:
- d = 3.216 Å, I = 100, hkl -2 1 2
- d = 2.700 Å, I = 64, hkl 2 1 0
- d = 3.193 Å, I = 54, hkl 1 2 -1
- d = 4.215 Å, I = 43, hkl 0 1 1
- d = 4.158 Å, I = 43, hkl 0 1 -2
- d = 4.064 Å, I = 39, hkl 2 0 -1
- d = 3.177 Å, I = 39, hkl 1 2 -2
- d = 4.132 Å, I = 37, hkl 0 2 -1
- d = 2.710 Å, I = 36, hkl 0 2 -3
- d = 5.055 Å, I = 36, hkl 1 -1 1

Structure:
└──
My name is Valerio Bucci and I am currently a first year student in Computing Science. I am one of the interns at HSRU CHaRT CHaRT Programming team along with Hilaron, Julia and Martin.
My work consists in creating a web portal such that users across different trials can access their information in one place. One of the major concerns is to implement a decent user interface with the aim of making the website as much intuitive and usable as possible.
Along with aesthetics, my job includes the server side of the project, with particular care on data encryption and security, to preserve server’s integrity and avoid users’ personal data to be stolen and used for malicious purposes.
Julia Zięba
My name is Julia Zięba and I am a 2nd year MSci Computing Science student at the University of Aberdeen. I am a summer intern at HSRU CHaRT Programming Team.
During this 8-week program I am working together with my colleague Valerio on developing a web-based ePRO(electronic patient reported outcomes) system for clinical trial participants. The aim of this project is to make documentation management and communication with the trial team easier for participants. The part I am working on consists of designing and developing an internal messaging system and an informational page displaying important events during the course of a trial.
Hilaron Osemudiame Dawodu
Hey, my name is Hilaron Osemudiame Dawodu and I’m a 3rd year Electrical and Electronic engineering BEng student. I’m currently in a 12-week internship program at the HSRU. Working with the HSRU CHaRT programming team. For the first 8 week I have been working on ESP2, estimating site performance 2. This project aims to anonymously gather information from trial managers about sites they have visited. The information can then later be used to predict a sites performance as it pertains to hitting recruitment targets. For the remaining 4 weeks I will be working alongside interns Valerio Buccci and Julia Zieba on ePRO system.
# Attached: materials data
[1]
Sr2SiPdS: theoretical powder X-ray diffraction pattern (copper Kα), based on the GGA-PBE geometry in Alexandria.
Lines closer than 0.1° are merged.

Top 10 peaks for 2θ from 10° to 90°, in order of rising 2θ:
2θ (°)  I/Imax  index
14.98  59  1 0 0
20.24  54  0 0 1
25.28  28  1 0 1
29.51  30  1 1 1
30.23  100  2 0 0
36.65  49  2 0 1
43.27  36  2 2 0
48.22  23  2 2 1
51.91  42  2 0 2
61.25  25  2 2 2

Atomic structure:
```
data_Sr2SiPdS
_chemical_formula_sum 'Sr2 Si1 Pd1 S1'
_symmetry_space_group_name_H-M 'P 4/m m m'
_symmetry_Int_Tables_number 123
_symmetry_space_group_name_Hall '-P 4 2'
_cell_length_a 5.9136
_cell_length_b 5.9136
_cell_length_c 4.3865
_cell_angle_alpha 90.00
_cell_angle_beta 90.00
_cell_angle_gamma 90.00
loop_
_atom_site_label
_atom_site_type_symbol
_atom_site_fract_x
_atom_site_fract_y
_atom_site_fract_z
_atom_site_occupancy
Sr1 Sr 0.0000 0.5000 0.0000 1
Si1 Si 0.0000 0.0000 0.5000 1
Pd1 Pd 0.5000 0.5000 0.0000 1
S1 S 0.5000 0.5000 0.5000 1
```

[2]
Li3Pu3AuS8: theoretical powder X-ray diffraction pattern (copper Kα), based on the GGA-PBE geometry in Alexandria.
Lines closer than 0.1° are merged.

Top 10 peaks for 2θ from 10° to 90°, in order of rising 2θ:
2θ (°)  I/Imax  index
14.48  100  1 -1 0
26.04  28  1 1 0
27.16  45  1 1 -2
28.05  12  0 0 2
28.14  24  0 2 -2
31.60  27  0 2 0
33.52  48  2 0 -2
44.38  13  -3 1 2
46.04  19  2 0 2
47.36  17  0 2 -4

Atomic structure:
```
data_Li3Pu3AuS8
_chemical_formula_sum 'Li3 Pu3 Au1 S8'
_symmetry_space_group_name_H-M 'P -1'
_symmetry_Int_Tables_number 2
_symmetry_space_group_name_Hall '-P 1'
_cell_length_a 7.4601
_cell_length_b 7.6737
_cell_length_c 7.6738
_cell_angle_alpha 119.76
_cell_angle_beta 90.15
_cell_angle_gamma 117.13
loop_
_atom_site_label
_atom_site_type_symbol
_atom_site_fract_x
_atom_site_fract_y
_atom_site_fract_z
_atom_site_occupancy
Li1 Li 0.0000 0.0000 0.0000 1
Li2 Li 0.0000 0.0000 0.5000 1
Li3 Li 0.5000 0.5000 0.0000 1
Pu1 Pu 0.0000 0.5000 0.5000 1
Pu2 Pu 0.5000 0.0000 0.0000 1
Pu3 Pu 0.5000 0.0000 0.5000 1
Au1 Au 0.0000 0.5000 0.0000 1
S1 S 0.2315 0.9864 0.7445 1
S2 S 0.2403 0.5106 0.2265 1
S3 S 0.2400 0.5124 0.7841 1
S4 S 0.2949 0.0784 0.2890 1
```

[3]
Mg2Sc5Ir2Rh: theoretical powder X-ray diffraction pattern (copper Kα), based on the GGA-PBE geometry in Alexandria.
Lines closer than 0.1° are merged.

Top 10 peaks for 2θ from 10° to 90°, in order of rising 2θ:
2θ (°)  I/Imax  index
18.22  100  2 1 0
25.85  41  0 0 1
31.78  26  2 1 1
34.94  17  3 3 0
36.88  94  3 1 1
39.65  38  3 2 1
42.29  26  4 0 1
44.82  15  5 2 0
47.21  15  4 4 0
54.58  14  4 4 1

Atomic structure:
```
data_Mg2Sc5Ir2Rh
_chemical_formula_sum 'Mg4 Sc10 Ir4 Rh2'
_symmetry_space_group_name_H-M 'P 4/m b m'
_symmetry_Int_Tables_number 127
_symmetry_space_group_name_Hall '-P 4 2ab'
_cell_length_a 10.8902
_cell_length_b 10.8902
_cell_length_c 3.4512
_cell_angle_alpha 90.00
_cell_angle_beta 90.00
_cell_angle_gamma 90.00
loop_
_atom_site_label
_atom_site_type_symbol
_atom_site_fract_x
Marcin Woznicki
My name is Marcin Woznicki and I am a 4th year student of MSci in Computing Science here in the University of Aberdeen. During my 1 year industrial placement in the Centre for Healthcare Randomised Trials. I will be working on improving the systems used for clinical trials. My primary goal in CHaRT is to redesign the database structure, centralise the code logic behind the randomisation services, and develop an intuitive mobile application to perform these randomisations remotely. Our team is aiming to make the process of conducting and managing trials easier, while maintaining strong integrity and safety of the trial’s research data.
Welcome to all our student interns and we hope you enjoy your placement with HSRU.